Well, did your favorite game make the list Yea Forums?
GameFaqs Top 119 Games Ever
surprised to see Planescape on a list with so much Mario, Zelda and Pokémon shit
> No DMC, Doom, Shit Vegas, Bloodborne or Morrowind despite Yea Forums contantly circlejerking about how much of a "Masterpiece" they are
Based, Yea Forums BTFO'd yet again
>panzer dragoon saga above MGS
yeah i'm questioning this popularity poll
I hope you fucking die and stop making these threads
Everyone who played PDS considers it the greatest game ever made, it's not surprising to see such a iconic game rated that high. Even mainstream journos love the game now
The problem is not many people have played it and this is supposedly a popularity poll which all of these are.
> Panzer Dragoon Saga remains one of the greatest video games of all time. Twenty years after its creation, it also remains nearly impossible to play, a cult classic whose elusiveness mirrors the misery that suffused its development, setting, and story" - The Ringer.com
> Panzer Dragoon Saga has been called Sega's answer to Final Fantasy VII, but that is an unfair comparison. Panzer Dragoon Saga is so much better than Squares' ultimate RPG. It is a worthy successor to a series that with each installment has grown in stature and scope. It is flawlessly executed, limited only by the hardware (and barely that at all) and medium - GameSpot
> I have never played a game that immersed the gamer so. With excellent production values for the time (not too shabby even for today), an awe-inspiring combat system, a plethora of tremendous, unforgettable boss encounters, a cast of characters that pushes more towards an ensemble of fine actors, a deep and rewarding back-story and mythos, and an ending that blew my mind before Metal Gear Solid could take gamers even near the same territory, I really can't think of a finer title. - IGN
> Despite often being included high up in lists of the greatest RPGs ever made, it seems like nobody has actually played Panzer Dragoon Saga. One of the final titles to ever be released on the failed Sega Saturn console, Panzer Dragoon Saga is the only game in the series that isn't a rail shooter. Interestingly, it wasn't due to a lack of public interest that Panzer Dragoon Saga sold a pitiful number of copies in the West. Under 50,000 copies were ever produced in North America, meaning that the demand far outweighed supply. The game itself is universally considered to be a masterpiece, and it'scertainly the best game to have emerged from Sega. - WhatCulture
>VN "games"
>Smash Bros. shit
>tons of Zelda shit (like BOTW) or too dated (OG Zelda), Ocarina of Time is there 2 times for fucks sake
>tons of Pokemon shit (like XY)
i'm disgusted
Bloodborne is on there though
Who are these motherfuckers that legitimately think SoulCalibur 1 is better than 2?
Everyone, nobody cares about SoulCalibur after the first game since the rest of them suck
Do you know what a source is?
we really a list without nintedrones votes
Nintendo fans don't play non-Nintendo systems, so their votes always make the lists heavily Nintendo-centric. this one has 4 Smash Bros and two OoTs
>we really need
> Zelda BoTW
Can we wake up from our trance over this fucking game?
If it didn't have the Zelda title and/or wasn't made by Nintendo we would all see it for the poorly written, no voice acting having, boring world having, shit combat having, bad graphics having low-mid tier game it is
What a shambles. Over half of that are games that either suck, definitely don't fit within the top 200, or the same game listed multiple times for the original release and enhanced ports. Some of the things that you wouldn't jettison instantly still are only provisional to making a real list. And then, there are multiple consoles and most of PC which have been ignored completely. If this is an actual listing made at that site then it was constructed entirely by people that weren't even born until 2000 who only included pre-2005 games because of internet social pressure making a few instantly-nameable classics "untouchable", not because they'd actually played any of them.
## Here the piece breaks off for quantum chemistry results
........
1.
Density functional theory data (wB97M-V/def2-TZVPD) for C17H35F2IInO4S2 as an isolated structure.

```
! RIJCOSX wB97M-V def2-TZVPD def2/J DEFGRID3
* xyz -1 1
C -2.0763 0.2246 4.0865
C -1.6765 -0.4750 2.7815
In -1.0780 1.0223 1.2600
C 0.1760 0.0355 -0.3276
C 1.6797 0.2483 -0.3355
C 2.4635 -0.7023 -1.2300
I 2.1228 2.2795 -0.9734
C -2.9344 1.7761 0.2849
C -4.1675 1.7957 1.1617
F -2.7841 3.0992 -0.2563
C 0.1258 2.5757 2.3132
C 1.2294 1.9992 3.2026
F -0.7130 3.3834 3.1641
H -1.1955 0.6000 4.6163
H -2.7117 1.0975 3.9103
H -2.6129 -0.4370 4.7775
H -0.8989 -1.2177 2.9947
H -2.5430 -1.0186 2.3895
H -0.2193 0.2480 -1.3282
H 0.0357 -1.0468 -0.1716
H 2.0846 0.2232 0.6773
H 2.4036 -1.7069 -0.7969
H 2.0244 -0.7420 -2.2296
H 3.5175 -0.4365 -1.3322
H -3.1375 1.1506 -0.5946
H -4.0227 2.4294 2.0406
H -5.0540 2.1603 0.6260
H -4.3743 0.7809 1.5162
H 0.5614 3.2977 1.6196
H 0.9037 2.0689 4.2436
H 2.1812 2.5359 3.1168
H 1.4264 0.9397 3.0095
C 4.8264 4.1379 -6.4922
C 4.3564 4.3719 -5.0510
C 3.6453 3.0997 -4.5827
S 4.4055 1.7465 -5.4968
O 3.4246 1.1621 -6.3786
O 5.1819 0.8991 -4.6300
C 5.5003 2.7731 -6.4867
H 5.5082 4.9183 -6.8297
H 3.9698 4.1238 -7.1697
H 5.2204 4.5680 -4.4125
H 3.6916 5.2315 -4.9764
H 3.7510 2.9062 -3.5180
H 2.5886 3.0943 -4.8437
H 5.5983 2.3008 -7.4614
H 6.4641 2.7952 -5.9781
C -3.6750 -6.3168 2.5400
C -2.3266 -5.7654 2.0475
C -2.4690 -4.2463 1.9141
S -3.7010 -3.7675 3.1338
O -4.8592 -3.2569 2.4433
O -3.1058 -3.0345 4.2144
C -4.0860 -5.4255 3.7070
H -3.5975 -7.3618 2.8397
H -4.4198 -6.2497 1.7439
H -1.5496 -6.0016 2.7777
H -2.0320 -6.2106 1.0979
H -1.5661 -3.6795 2.1303
H -2.8654 -3.9445 0.9466
H -5.1419 -5.4501 3.9646
H -3.4736 -5.6066 4.5900
*
```

***

2.
Density functional theory data (wB97M-V/def2-TZVPD) for C17H35GeN2O3RhTe as an isolated structure.

```
! RIJCOSX wB97M-V def2-TZVPD def2/J DEFGRID3
* xyz 1 2
Rh -0.5685 -0.1787 -0.4595
C -3.8525 -1.1626 1.3763
C -2.4353 -0.9737 1.8910
C -1.6156 -2.2519 1.7178
C -2.4512 -0.5667 3.3579
O -1.8528 0.1137 1.1326
Ge -0.6515 1.4799 1.8605
O 0.6735 0.2264 1.2922
C 2.0781 0.2088 1.6161
C 2.5160 -1.2470 1.6636
C 2.2622 0.8601 2.9784
C 2.8551 0.9766 0.5522
O -0.6306 1.8601 -0.0780
C -1.2892 2.9665 -0.7390
C -0.3298 3.5289 -1.7711
C -2.5812 2.5135 -1.3971
C -1.5888 4.0086 0.3338
H -4.3496 -1.9726 1.9115
H -4.4299 -0.2483 1.5116
H -3.8437 -1.4182 0.3120
H -2.0119 -3.0377 2.3632
H -1.6746 -2.6113 0.6880
H -0.5730 -2.0751 1.9865
H -2.9659 -1.3262 3.9464
H -1.4368 -0.4718 3.7537
H -2.9784 0.3798 3.4922
H 1.9859 -1.7837 2.4525
H 2.3215 -1.7292 0.7053
H 3.5863 -1.3140 1.8634
H 1.6272 0.3795 3.7260
H 3.2983 0.7623 3.3015
H 2.0240 1.9260 2.9435
H 2.8669 0.4253 -0.3870
H 2.3960 1.9529 0.3831
H 3.8868 1.1299 0.8702
H -0.0699 2.7579 -2.4944
H -0.7928 4.3558 -2.3108
H 0.5812 3.8909 -1.2922
H -2.3769 1.8839 -2.2648
H -3.2021 1.9608 -0.6895
H -3.1410 3.3829 -1.7452
H -0.6784 4.3031 0.8587
H -2.0112 4.8990 -0.1306
H -2.3167 3.6325 1.0560
Te -2.1083 -0.9623 -2.1650
C 1.9417 -4.5893 -2.6109
C 1.7199 -3.1182 -2.5090
........
The problem, I suppose, is that "best X games of ALL TIME" lists need to stop because you can't expect most people to touch anything outside the consoles available directly during their childhood/early adulthood. Few except truly oldfag idorts are qualified to attempt an all-encompassing list anymore.
I never cared for Zelda/Nintendo and enjoyed BotW a lot, so I'm afraid you're wrong my friend.
>Ocarina of Time acceptable
>The original Zelda not
You are a cretin with terrible taste.
>3 zelda titles on top6
>4 nintendo games on top6
>3 prime games on top 10
This is how you see this list is trash, i could go on even more specifics like having multiple pokemon games in there but i feel the point was made.
>deus ex at 77
the fuck
Seems quintessentially American
>the fuck
It's GameFaqs, a forum consisting entirely of weebs who only grew up playing Japanese games. Call of Duty 4 was probably their first exposure to a western game.
oh my fucking god you did not just say that
This list is incomplete
busta ass list
>Pokemon X/Y better than HGSS
This list is automatically shit, GameFaqs is a dumpster
>Awakening over Genealogy
Get the fuck out.
>mario/zelda/metroid/pokemon spam
hide thread
Its console game galore
>No Phantasy Star IV
And into the trash it goes.
>No vanilla WoW
fucking trash tier list
You can count PC exclusives on one hand in that list.
HGSS is a solid enough option, maybe B2W2, Platinum or even Emerald. There's no need for more mainline Pokemon games in any serious top 100
NES original, A Link to the Past and Ocarina of Time, maybe Link's Awakening too. Breath of the Wild is a 7/10 game with Nintendo Bonus-boosted scores
>Smash Bros.
This glorified Poy Poy clone doesn't deserve to be in the list, let alone having 4 games included. It's even worse when you realize real fighting games like Street Fighter II or Garou aren't even included
No point in including more than one Metroid Prime or Yakuza either. Tales of Symphonia is there because of the Nintendo bias, Vesperia is far superior.
>persona 4
like its not a terrible game, but it belongs nowhere near the top 100 let alone the top 5
50% of the list is Nintendo spam
no Mega Man, no Sonic, no Street Fighter, etc
>that top 10
fucking based. I'll never understand the eternal love for chrono trigger though
Why are they on the list at all: Rune Factory 4, Grim Fandango, Fire Emblem GoHW, Kingdom Hearts Final Mix, Project Diva F 2nd, Steins Gate
Why are they so high up: Legend of Zelda, Mother 3, Super Mario Odyssey, a lot of other nintendo stuff, Shenmue II
Where are they: Bayonetta 1, Secret of Mana, Street Fighter II Turbo
Why are they so low down: Bloodborne, NieR Automata, Half-Life 2
I declare this to be a list made by retards, for retards.
Where's Undertail?
Nope. A few of my top 10 made it on, but my favourite didn't make it on there. A few of those don't even seem worthy of the list, but managed to get on because they're relatively new so they sneak by from people who haven't thought about what really makes a good game to them, or play anything better. Would help explain why some worse entries in a franchise got more votes than better entries for some cases.
Little King's Story is my favourite game in case anyone was wondering. Near perfect balance of game elements from genres I enjoy with enough of its own thing to stand out for me.
Also kind of surprised there's no Pikmin. I guess they hate RTS games outside of the super well known Starcraft.
holy shit, no Ninja Gaiden, Doom or Burnout either
>7/top 10 are metroidvanias and zeldas
Y-yeah based... if you're a gay
no, we just need to limit it to one entry per series, it's fucking retarded to have 20 games from the same series when people can usualy agree on which one is the best
Data records, as found in the file =
+++
Record 1
{
  "formula": "C2H4FNO3",
  "method": "the ωB97M-V functional and the def2-TZVPD basis",
  "elements": ["H", "O", "F", "O", "H", "H", "C", "C", "N", "O", "H"],
  "xyz": [[-0.04836, 1.27906, -0.43670], [-3.27480, -0.24577, -0.51132], [-1.45788, -1.67186, -0.31628], [-2.33528, 1.56270, 0.22889], [0.37378, 0.06712, -1.49908], [0.92038, -0.03149, 0.11148], [0.05396, 0.27093, -0.45830], [-1.08077, -0.42616, 0.19647], [-2.34551, 0.40163, -0.08352], [-1.00664, -0.62174, 1.54826], [-0.88377, -1.52401, 1.80832]],
  "forces_ev_per_angstrom": [[-0.465, 3.041, 0.611], [-0.232, 0.985, -0.086], [1.498, 0.837, -0.234], [0.109, 0.473, -0.099], [-1.104, -0.587, 0.373], [0.425, 0.247, 0.295], [2.181, -2.981, -0.645], [-1.547, -2.229, -0.547], [-1.093, -1.095, 0.521], [0.211, 2.240, 0.129], [0.018, -0.929, -0.319]],
  "de_lowest_kcal_mol": 18.54,
  "homo_ev": -11.2,
  "smiles": "C[C@](O)(F)[N+](=O)[O-]",
  "homo_lumo_gap_ev": 11.44,
  "spin_multiplicity": 1
}

Record 2
{
  "formula": "C2H4FO2",
  "method": "the ωB97M-V functional and the def2-TZVPD basis",
  "elements": ["C", "H", "F", "H", "C", "O", "O", "H", "H"],
  "xyz": [[1.15938, 1.02008, -2.09821], [-0.31482, -0.65962, -1.61271], [1.94507, 1.85198, 0.66242], [-2.05794, 0.81295, -1.84655], [-0.21384, 0.40742, -1.86711], [-1.15919, 1.17477, -2.02923], [2.05614, 0.19577, -2.27815], [1.26503, 2.09812, -2.30598], [2.95475, 0.54986, -2.47631]],
  "forces_ev_per_angstrom": [[0.052, 0.514, -1.114], [0.011, 0.104, 0.063], [-0.060, -0.048, -0.137], [-0.543, -0.089, -0.131], [-0.014, -0.617, 0.298], [0.245, 0.340, 0.194], [-0.201, -0.190, 0.535], [0.044, -0.063, 0.468], [0.466, 0.050, -0.177]],
  "homo_ev": [-24.3, -23.3],
  "homo_lumo_gap_ev": [9.74, 8.75],
  "total_charge": 2,
  "spin_multiplicity": 2
}

Record 3
{
  "formula": "C2H4FPS",
  "method": "the ωB97M-V functional and the def2-TZVPD basis",
  "elements": ["P", "F", "H", "C", "H", "H", "H", "S", "C"],
  "xyz": [[-1.22718, 2.31702, -0.20265], [1.29928, 2.49129, -1.12460], [-0.82243, -1.40564, -0.31758], [0.04786, -1.72191, 0.14538], [-1.16674, 1.41357, 0.84152], [-0.23813, -1.92677, 1.19784], [0.33390, -2.54624, -0.40091], [1.46747, -0.55877, 0.34512], [0.30596, 1.93744, -0.48411]],
  "forces_ev_per_angstrom": [[-1.555, 0.937, 0.097], [-0.769, -0.522, 0.120], [-1.535, 1.483, -1.069], [1.061, 1.467, 3.278], [-0.458, -0.749, 0.394], [0.094, -0.514, -0.788], [1.000, -2.019, -0.869], [-1.549, 1.871, -1.152], [3.710, -1.953, -0.010]],
  "de_lowest_kcal_mol": 90.44,
  "homo_ev": [-8.6, -8.6],
  "homo_lumo_gap_ev": [6.69, 6.70],
  "spin_multiplicity": 1
}

Record 4
{
  "formula": "C2H4FeLiO2",
  "method": "the ωB97M-V functional and the def2-TZVPD basis",
  "elements": ["O", "H", "H", "O", "Fe", "Li", "C", "C", "H", "H"],
+++
>Peacewalker that high
>instead of spamming various Zeldas, Pokemons, Smash Brothers and Metroids, nintendofags would just spam the list with Nintendo filler like Kid Icarus, Nintendogs, Style Savyy, Starfy*, Pilotwings, Chibi-Robo, The Wonderful 101, etc
we need to limit it to one entry per series and exclude nintenbros votes
*a really underrated series actually
Seething Snoyfag
what's with all these fucking top 100 lists from random sites lately, is it just one nigger posting them or what?
this, this is my biggest problem with these retards, you slap Kojima's name on anything and it insantly becomes 10/10 GOTYay my favourite game of all time, the only thing that could me make me even more mad is if they included MGSV, anyone who defends that "game" is braindead retard and should kill themselfves
oh fuck off, if you weren't peabrained fanboy you would know nintendo has some awesome stuff
>b-but Sony!
> b-bbut Nintendo!
move out of your parents house
No, contrary to popular belief it only made the contest in 2015 because Reddit & Yea Forums Rigged it
>Fallout 3 instead of New Vegas
Nobody actually likes New Vegas outside Redditors & contrarian Autists
Forgotten, like 90% of indie games
>crossed off Okami
>ocarina of yikes at 1
says the contrarian redditor
I mean when you think about it, this list does align with their best franchise contest back in 2006. They love their Zelda & FF
> Liking a popular game more then a critical failure niche game that nobody talks about is bad
Kill yourself Obsidian drone
>1/3 of the list is Nintendo spam, Snoy spam is nowhere near that bad
>b-but Sony!
Kill yourself Grandpa, nobody gives a single fuck about PC gaming. It has always been irrelevant
I have never finished a Zelda game. I've tried OoT, WW and TP and they were all tedious as hell, especially WW. So much chest fanfare over fucking rupees and common collectibles! I ended up trading them for half an ounce of shrooms. Alundra's in my top 25 though. Should I give the older games a chance?
> Nintendo makes objectively good games
> Everyone regardless of demographic loves them
> Snoy's play the victim card & cry about how oppressed they are by the "Le Nintendo boogeyman"
> Snoy's do nothing but Spam wojaks & attack every fanbase 24/7 on this board
> Is surprised when nobody gives a fuck about their Kike cinematic movie garbage
>no peggle
The only list that matters
>Seisen no Keifu is in
Well done
>Final Fantasy VI
But it's shit
M8 the only people that give a shit about Nintendo are the ones glued to their shitty childhood
>> Liking a popular game more then a critical failure niche game that nobody talks about is bad
Yeah why is it bad to like a beloved game like New Vegas over 3?
> Over 90 Billion dollars has been grossed by Pokemon alone
> Implying that nobody cares about the most popular pop culture icon in world history
Cope more Snoys
Fallout NV is irrelevant garbage, nobody unironically likes it.
Oh, no, I'm sure there are plenty of manchildren trying to recapture their first exposure to this shit time and again
Prove me wrong besides crying & spouting buzzwords.
>Mario 64 not in the Top 10
speedrunning tranny BTFO
Happy to see Master of Orion 2 there
>t. TJ """"""""Henry"""""""" Yoshi
> No DMC garbage made it at all
I didn't even notice that. Surprised people still know about that game, but glad it's still getting some appreciation.
What's it like compared to the last Yea Forums one?
Better since it has far more votes & is stretched over a 19 year period. Only fair comparison, is the GameFaqs one to Old-Yea Forums's list
New Vegas is discussed on Yea Forums even after almost 10 years since its release
meanwhile Fallout 3 barely has any discussions other than Tenpenny Tower and the shitty ending.
i could probably not make a worse list even if i tried really hard
Nice nerd niche list
T-t-they were just too shit at those games to put them on the list...HAHA yeah that's it...haha....I'm so alone....
> T. Favorite game didn't make it
> Not enough niche Snoy garbage
Yea Forums is irrelevant, most normies have only played Fallout 3 & Skyrim
>Yea Forums is irrelevant
then leave you fucking retard.
No, because despite how terrible Yea Forums is, it's still the only tolerable gaming forum on the internet
>Yea Forums is irrelevant
>the place that spearheaded gamergate, which paved the way to Trump getting elected
better than Yea Forums's current list
I wish Yea Forums was irrelevant, more and more retards rush into this board everyday
>100 games named and fucking System Shock 2 isn't here
Holy fuck I am SEETHING.
>persona 4 above 3 and 5
>F 2nd over FT
>VLR over 999
Yeah fuck that list.
what's wrong with DKC2 you fucking pillock
Now that's a shitty list
>Mother 3
I see they took the trannypill
You're based for crossing off Mother 3, but you're a fool if you think Freedom Unite deserves to be on there.
there's a lot of shitposting in this list. might be wrong but I don't see deus ex, vtmb, diablo2, tomba. ape escape, soul reaver, stalker, splinter cell, parasite eve...